5 Way to Prepare for Great Sleep During Daylight Savings Time
With Daylight Savings Time quickly approaching, many areas of the United States are preparing to lose an hour of sleep. But can you ever really be prepared to be more tired? Back in the day before people used their automatically-updating cellphones as alarms (before the wheel was invented), you would have to manually update your alarm clock the night before. This inevitably led to countless delayed work meetings, missed college classes, and kids being dropped off late to school, likely without breakfast.
Losing any amount of sleep can be rough, Those who use CBD oil for sleep may have a much better chance of regulating their body’s sleep cycles than others. But it can still take some time before you start to feel normal again. Most of us look forward to spring, and are willing to deal with the inconvenience of less sleep in exchange for nicer weather. But what if you didn’t have to worry as much about what happens with your sleep cycles during this time of year?
Let’s talk about what happens to your precious sleep cycles when Daylight Savings Time rolls around every year. It’s important to understand why your body responds the way it does, and what you can do to make it easier on yourself.
Understanding the Body’s Circadian Rhythm
In many parts of the country, the clock changes twice every year. An hour either way may not seem like much, but it’s enough for your body to take notice, especially if you have a very consistent schedule or a strong opposition to mornings in general. Your sleep/wake cycle is regulated by your body’s circadian rhythm, which is on a 24-hour cycle. This cycle is regulated by light.
When the clock “springs forward,” like what happens with Daylight Savings Time, we get to enjoy more sunlight during the evening. But that also means that it’s darker in the morning when we get up. This can cause our internal clock to fall out of sync, and it can be very difficult to adapt to these changes as your body perceives that it is too early to get up. Disabling your snooze button may be something to consider.
How Long Does it Take to Adapt to Daylight Savings Time?
Some people adjust to the time change easily, and by the next day they feel just fine. But others may have a more difficult time. The general rule is that it takes about a day to adjust to each hour of time difference. But again, some people simply do not bounce back that quickly.
People who usually get seven to eight hours of sleep at night may only need to go to bed a little earlier the night before the time change. In the morning, they may feel just fine. But most people live their lives in constant sleep deprivation. If this is you, and you only get about six hours of sleep per night, you may have a lot of difficulty adjusting.
In some cases, it can take a week or more for your body to get used to Daylight Savings Time. But there are some things you can do to make the transition a bit easier on yourself.
5 Ways to Make the Transition to Daylight Savings Time Easier
Daylight Savings Time doesn’t have to be stressful or sleepless. Try any of the following – or all of them – and see if they help you get the rest you need as the days get longer.
#1 Start Preparing Yourself Early
One of the reasons people often have a difficult time adjusting to Daylight Savings Time is that they let it sneak up on them. They may not have even realized it was time for it, and before they know it, they’ve left no time for themselves to prepare.
One hour really doesn’t seem like a very long period of time. But if you’re someone who struggles when the time changes twice a year, you know that it’s an hour that matters. It’s a good idea to start making changes ahead of time so your body is ready.
For example, try slowly moving your bedtime back in 15-minute increments for a few days. You may even want to start the week before. That means that by the time Daylight Savings Time comes, your body is already adjusted to the change. You’ll be able to go back to your normal bedtime without too much of a disruption in your schedule or your sleep. You’ll also be making up for that lost hour, and you may find that you don’t even notice it.
#2 Nix the Coffee and Alcohol Before Bed
Caffeine and alcohol are two known sleep thieves. They can make it much harder for you to fall asleep, and can also wake you up in the middle of the night. That is not something you want to deal with when you’re trying to adjust to Daylight Savings Time.
Caffeine is a stimulant, and like most people, you probably enjoy it because it wakes you up and gives you more energy. This is great during the day, but if you consume caffeine too close to your bedtime, it can cause serious problems, including insomnia. The half-life of caffeine is six hours, so if you have a cup of coffee at 4:00 pm, it is still in your system when you go to bed at 10:00 pm.
Alcohol is a depressant, and some people think that when they drink before bed, it helps them sleep better. They couldn’t be more wrong. Alcohol interferes with your ability to dream, which means it is much easier for you to wake up in the middle of the night.
We’re definitely not saying that you can’t enjoy caffeine and alcohol as you get ready for Daylight Savings Time. But you’ll reap the rewards of making a few small changes. Keep your caffeine intake for the morning hours only. If you have a glass of wine with dinner, don’t worry too much about it because your body should process it within an hour. Using alcohol to fall asleep is where you are likely to have the most issues.
#3 Consider Trying CBD for Sleep
CBD and sleep can go hand-in-hand, and may offer you a quick and easy way to get the rest you need. There are a lot of reasons why CBD or hemp extract could be a great addition to your nighttime routine anytime, not just during Daylight Savings Time. CBD may:
- -Help your body regulate your circadian rhythm during the time change. That means it may help you wake up feeling refreshed, even if it is a little darker outside in the morning for a while.
- -Help regulate GABA and serotonin in your brain. Both of these are important for a sound sleep because they help you relax.
- -Help to ease some of the aches and pains you might experience when you lay down. If you’re someone who struggles to find a comfortable position, CBD may make it a lot easier.
- -Help to reduce your stress levels. How often do you lie awake at night because your brain simply will not turn off? CBD may make it easier for you to let your cares go in favor of much-needed sleep.
- -Help to relax your muscles. If you’re like most people, you carry around the stress of the day all day long. When your muscles are relaxed, getting to sleep – especially if you’re trying to turn in earlier, may be much easier.
_Someone pasted data records at this point_
-- begin --
A plane-wave DFT calculation with GGA-PBE was carried out for crystalline Sr5Bi3O12 at its relaxed geometry.

The space group is P-1 (No. 2) and the conventional cell measures 6.0272, 6.2055 and 8.5772 Å, with angles of 89.47, 89.85 and 89.92 degrees. Symmetry generates all atoms from Sr at (0.0000, 0.0000, 0.0000), Sr at (0.0187, 0.5515, 0.7578), Sr at (0.4878, 0.0477, 0.7542), Bi at (0.0000, 0.0000, 0.5000), Bi at (0.5000, 0.5000, 0.0000), Bi at (0.5000, 0.5000, 0.5000), O at (0.1102, 0.0486, 0.2715), O at (0.2096, 0.2812, 0.5681), O at (0.2155, 0.3189, 0.9517), O at (0.2870, 0.7893, 0.5592), O at (0.3230, 0.7825, 0.9425) and O at (0.3889, 0.5474, 0.2505).

For the corrected total energy (MP2020 scheme), the calculation gives -6.357 eV/atom. The calculation puts the uncorrected energy at -5.94 eV per atom.

=====

Record 1
Compound: Na2Gd2Ti3O10
Source: the Materials Project
Functional: GGA-PBE
Structure: optimized geometry

Structure (CIF):
```
data_Na2Gd2Ti3O10
_chemical_formula_sum 'Na4 Gd4 Ti6 O20'
_space_group_name_H-M_alt 'I 4/m m m'
_space_group_IT_number 139
_space_group_name_Hall '-I 4 2'
_cell_length_a 3.832
_cell_length_b 3.832
_cell_length_c 28.615
_cell_angle_alpha 90.00
_cell_angle_beta 90.00
_cell_angle_gamma 90.00
loop_
_atom_site_label
_atom_site_type_symbol
_atom_site_fract_x
_atom_site_fract_y
_atom_site_fract_z
Na1 Na 0.000 0.000 0.212
Gd1 Gd 0.000 0.000 0.076
Ti1 Ti 0.000 0.000 0.354
Ti2 Ti 0.000 0.000 0.500
O1 O 0.000 0.000 0.292
O2 O 0.000 0.000 0.432
O3 O 0.000 0.500 0.000
O4 O 0.000 0.500 0.131
```

final energy	-9.05	eV/atom


Record 2
Compound: NaAcTl2
Source: the Materials Project
Functional: GGA-PBE
Structure: optimized geometry

Structure (CIF):
```
data_NaAcTl2
_chemical_formula_sum 'Na4 Ac4 Tl8'
_space_group_name_H-M_alt 'F m -3 m'
_space_group_IT_number 225
_space_group_name_Hall '-F 4 2 3'
_cell_length_a 8.011
_cell_length_b 8.011
_cell_length_c 8.011
_cell_angle_alpha 90.00
_cell_angle_beta 90.00
_cell_angle_gamma 90.00
loop_
_atom_site_label
_atom_site_type_symbol
_atom_site_fract_x
_atom_site_fract_y
_atom_site_fract_z
Na1 Na 0.000 0.000 0.000
Ac1 Ac 0.000 0.000 0.500
Tl1 Tl 0.250 0.250 0.250
```

final energy	-2.82	eV/atom


Record 3
Compound: SrLiMg14
Source: the Materials Project
Functional: GGA-PBE
Structure: optimized geometry

Structure (CIF):
```
data_SrLiMg14
_chemical_formula_sum 'Sr2 Li2 Mg28'
_space_group_name_H-M_alt 'A m m 2'
_space_group_IT_number 38
_cell_length_a 10.585
_cell_length_b 6.431
_cell_length_c 11.525
_cell_angle_alpha 90.00
_cell_angle_beta 90.00
_cell_angle_gamma 90.00
loop_
_space_group_symop_operation_xyz
'x,y,z'
'-x,-y,z'
'-x,y,z'
'x,-y,z'
'x,y+1/2,z+1/2'
'-x,-y+1/2,z+1/2'
'-x,y+1/2,z+1/2'
'x,-y+1/2,z+1/2'
loop_
_atom_site_label
_atom_site_type_symbol
_atom_site_fract_x
_atom_site_fract_y
_atom_site_fract_z
Sr1 Sr 0.000 0.000 0.000
Li1 Li 0.000 0.000 0.494
Mg1 Mg 0.000 0.244 0.250
Mg2 Mg 0.245 0.000 0.661
Mg3 Mg 0.262 0.000 0.166
Mg4 Mg 0.262 0.245 0.410
-- stop --
CBD can be a great natural sleep remedy, and many people rely on it to get their Zs. It might be something you want to consider as Daylight Savings Time gets closer.
#4 Avoid Taking Long Naps During the Day
Insomnia or other sleep disorders are common, and most people who struggle with this problem rely on naps to help them make it through the day. This can be problematic because they make it a lot harder to get quality sleep at night.
Of course, sometimes naps are unavoidable, and if they have become a part of your daily routine, it can be difficult to cut them out. It will benefit you to try and tack on some extra time during your nighttime sleeping hours over time. But if that isn’t possible right now, it’s important to at least learn how to nap wisely.
The Mayo Clinic offers some tips that may help you use napping to your advantage:
- -Keeping napping to a minimum. You really don’t need very long to snooze during the day to feel the benefits of it. Try to nap for ten to twenty minutes when you start to feel sluggish instead of one to two hours. If your nap is too long, you will probably wake up feeling even worse.
- -If you must nap, do it as early as possible. The morning is the recommended timeframe, but if you find yourself dozing after 3:00 pm, it will probably impact your ability to sleep later.
- -Keep your sleeping area restful and quiet. Dark curtains can help to keep the sun out. Maintain a room temperature that isn’t too hot or too cold as well.
#5 Start or Maintain Your Bedtime Routine
Transitioning into Daylight Savings Time is a lot easier if you have a bedtime routine in place. This is especially true if your plan is to move your bedtime back a few minutes as you prepare for the time change.
A bedtime routine serves as a trigger in your brain that’s time for you to wind down and prepare to sleep. Going to sleep on command isn’t always easy for everyone, and it can get even harder when you have an hour less time. If you’ve never even considered implementing a bedtime routine, here are some things you can do to start tonight.
- -Plan time to decompress – Most of us run through the day with very little time to contemplate what’s happening. We run from one appointment to another, we take care of our families, we go to work, and it becomes a pattern of going through the motions. If you’re not one to slow down and take time for yourself, now is the time to start. Doing this before bed can help to signal your brain that it’s almost time to sleep.
- -Set the screens aside – It’s tempting to spend what little “me” time you have on your phone, tablet, or watching TV. But exposing yourself to that blue light can have a negative impact on your sleep. It might take you a lot longer to get to sleep once you do put your head on the pillow, and the quality of your sleep can suffer too. Your body relies on melatonin to get the rest it needs, and the light from electronics can suppress its production when you need it most.
- -Consider having a light snack – People often like to snack at night while they’re watching television, but indulging too much can lead to problems falling asleep. But it’s also important not to go to sleep hungry. Having a light snack before bed can help.
- -Take a warm bath or shower before bed – Your body experiences a drop in temperature when you go to sleep. But what most people don’t realize is that you can actually trigger that drop by taking a shower before bed.
- -Use your bed for sleep and sex – Spending too much time in bed reading or watching television is a way to teach it not to sleep there. That is something you want to avoid. If you want to read before bed, choose a quiet, calming location that isn’t your bed.
Coast Through Daylight Savings Time With Serious Rest + Chamomile CBD Oil for Sleep
At Receptra Naturals, our Serious Rest + Chamomile Tincture may be just what you need to get the sleep you need. It includes a blend of natural and organic ingredients that are formulated to promote better rest. The best part is, you won’t need to worry about feeling groggy or out of it the next day. You’ll wake up in the morning feeling refreshed, renewed, and ready to take on any challenge.
After all, isn’t that how you’re supposed to feel after a good night’s sleep?
Daylight Savings Time may be upon us, but that doesn’t mean you have to suffer from less sleep. Be proactive and give the tips above a try. Contact us to let us know what worked for you!